Activity
Next, reproduce the entries further below with every line break kept.
File
-- begin --
(1)
5
Lattice="3.894 0.000 0.000 0.000 3.894 0.000 0.000 0.000 6.693" Properties=species:S:1:pos:R:3 comment="CdBP2Cl | Alexandria | GGA-PBE | relaxed" de_polymorph_mev_per_atom=0 vol_a3_per_cell=101.5 crystal_system=tetragonal dft_energy_ev_per_atom=-3.487 raw_formation_energy_ev_per_fu=2.83 space_group="No. 123" pbc="T T T"
Cd 0.000 0.000 0.000
B 1.947 1.947 3.347
P 0.000 1.947 3.347
P 1.947 0.000 3.347
Cl 1.947 1.947 0.000

---

(2)
10
Lattice="8.347 0.000 0.000 0.000 4.719 0.000 -3.298 0.000 9.791" Properties=species:S:1:pos:R:3 comment="Ba2TlSbP | Alexandria | GGA-PBE | relaxed" vol_a3_per_cell=385.6 crystal_system=monoclinic dft_energy_ev_per_atom=-3.850 raw_formation_energy_ev_per_fu=-3.50 space_group="No. 11" pbc="T T T"
Ba 0.330 1.180 3.873
Ba -1.478 1.180 9.480
Ba 6.527 3.539 0.311
Ba 4.719 3.539 5.917
Tl 1.556 1.180 7.772
Tl 3.493 3.539 2.018
Sb 0.008 3.539 6.721
Sb 5.041 1.180 3.070
P 0.877 3.539 1.817
P 4.172 1.180 7.974

---

(3)
4
Lattice="-1.834 1.834 3.851 1.834 -1.834 3.851 1.834 1.834 -3.851" Properties=species:S:1:pos:R:3 comment="TcNi2Pt | Alexandria | GGA-PBE | relaxed" de_polymorph_mev_per_atom=6 vol_a3_per_cell=51.8 crystal_system=tetragonal dft_energy_ev_per_atom=-7.067 space_group="No. 119" pbc="T T T"
Tc 0.000 0.000 0.000
Ni 0.000 0.000 3.851
Ni 0.000 1.834 1.926
Pt 1.834 0.000 1.926

---

(4)
4
Lattice="2.695 0.000 0.000 0.000 3.755 0.000 0.000 0.000 5.278" Properties=species:S:1:pos:R:3 comment="Mn2IrRu | Alexandria | GGA-PBE | relaxed" vol_a3_per_cell=53.4 crystal_system=orthorhombic dft_energy_ev_per_atom=-9.176 space_group="No. 25" pbc="T T T"
Mn 0.000 0.000 0.000
Mn 1.348 1.877 1.296
Ir 1.348 1.877 3.952
Ru 0.000 0.000 2.608

----------

Material: NdGdS
Method: DFT, PBE
State: optimized geometry

a b c (Å): 3.882 3.882 6.524
angles (deg): 90.00 90.00 120.00
Last column: magnetic moment on the atom in μB.
Atoms (fractional coordinates):
S (0.333, 0.667, 0.674)  -0.02
Gd (0.000, 0.000, 0.922)  7.16
Nd (0.667, 0.333, 0.404)  -0.17

- E_tot (eV/atom) = -8.94
- formation energy (no corrections) (kJ/mol of atoms) = -124
- DOS(E_F) (states/eV/f.u.) = 1.88
-- stop --
Result
(1)
5
Lattice="3.894 0.000 0.000 0.000 3.894 0.000 0.000 0.000 6.693" Properties=species:S:1:pos:R:3 comment="CdBP2Cl | Alexandria | GGA-PBE | relaxed" de_polymorph_mev_per_atom=0 vol_a3_per_cell=101.5 crystal_system=tetragonal dft_energy_ev_per_atom=-3.487 raw_formation_energy_ev_per_fu=2.83 space_group="No. 123" pbc="T T T"
Cd 0.000 0.000 0.000
B 1.947 1.947 3.347
P 0.000 1.947 3.347
P 1.947 0.000 3.347
Cl 1.947 1.947 0.000

---

(2)
10
Lattice="8.347 0.000 0.000 0.000 4.719 0.000 -3.298 0.000 9.791" Properties=species:S:1:pos:R:3 comment="Ba2TlSbP | Alexandria | GGA-PBE | relaxed" vol_a3_per_cell=385.6 crystal_system=monoclinic dft_energy_ev_per_atom=-3.850 raw_formation_energy_ev_per_fu=-3.50 space_group="No. 11" pbc="T T T"
Ba 0.330 1.180 3.873
Ba -1.478 1.180 9.480
Ba 6.527 3.539 0.311
Ba 4.719 3.539 5.917
Tl 1.556 1.180 7.772
Tl 3.493 3.539 2.018
Sb 0.008 3.539 6.721
Sb 5.041 1.180 3.070
P 0.877 3.539 1.817
P 4.172 1.180 7.974

---

(3)
4
Lattice="-1.834 1.834 3.851 1.834 -1.834 3.851 1.834 1.834 -3.851" Properties=species:S:1:pos:R:3 comment="TcNi2Pt | Alexandria | GGA-PBE | relaxed" de_polymorph_mev_per_atom=6 vol_a3_per_cell=51.8 crystal_system=tetragonal dft_energy_ev_per_atom=-7.067 space_group="No. 119" pbc="T T T"
Tc 0.000 0.000 0.000
Ni 0.000 0.000 3.851
Ni 0.000 1.834 1.926
Pt 1.834 0.000 1.926

---

(4)
4
Lattice="2.695 0.000 0.000 0.000 3.755 0.000 0.000 0.000 5.278" Properties=species:S:1:pos:R:3 comment="Mn2IrRu | Alexandria | GGA-PBE | relaxed" vol_a3_per_cell=53.4 crystal_system=orthorhombic dft_energy_ev_per_atom=-9.176 space_group="No. 25" pbc="T T T"
Mn 0.000 0.000 0.000
Mn 1.348 1.877 1.296
Ir 1.348 1.877 3.952
Ru 0.000 0.000 2.608

----------

Material: NdGdS
Method: DFT, PBE
State: optimized geometry

a b c (Å): 3.882 3.882 6.524
angles (deg): 90.00 90.00 120.00
Last column: magnetic moment on the atom in μB.
Atoms (fractional coordinates):
S (0.333, 0.667, 0.674)  -0.02
Gd (0.000, 0.000, 0.922)  7.16
Nd (0.667, 0.333, 0.404)  -0.17

- E_tot (eV/atom) = -8.94
- formation energy (no corrections) (kJ/mol of atoms) = -124
- DOS(E_F) (states/eV/f.u.) = 1.88